The Mission of PTSD Insights.. is to provide veterans.. active duty personnel.. and their families.. with a place to find insight into the unseen injury of Traumatic Stress.. and the impact.. that is too often misunderstood .. and left untreated.

      Our Objective.. Is to take a look at the continuing aftermath of Traumatic Stress events .. from the perspective of a combat veteran.. who has spent the past 50+ years.. learning to live with his conditions.   


     It is my hope.. that we can provide an expanded understanding of the continuing impact of Traumatic Stress on our overall health.. and well-being. 


    Two Caveats

     One  -  I am not a medical .. or mental health professional. All comments are from my own experiences.. learning how to best address my own challenges.

      Two..  It is important.. that we remember that.. I am an Expert” on one                    journey.. my own..  and.. can only speak to that journey.

    It is my understanding.. that Medical Professionals.. have set forth three broad type of stressful events.. that can cause challenging Post Traumatic Stress conditions to develop.. and persist:


1) Any event where someone has been threatened.. with death.. 

or serious injury.. to themselves..

( or .. )

      2)  witnessed.. the event happening to someone else…

( or has.. )

        3)  repeatedly been exposed.. to ongoing.. high stress.. activity.


     During  my Vietnam experience.. I found myself exposed me to all three of these suggested events that cause Post Traumatic Stress conditions.

     For me.. the conditions that developed as the result of my traumatic stress were multi-dimensional and pervasive.. a comprehensive collection of symptoms.  They impacted every aspect of my life.. which in turn.. impacted everyone around me.. family.. friends.. co-workers.. grocery clerks.. barista that served me my coffee.. etc.

      At the time.. and continuing today.. the Medical Profession.. more specifically the Mental Health Professionals.. classifies Post Traumatic Stress Disorder (PTSD).. as a psychiatric disorder.  .. This unfortunate designation.. created a stigma for me.. and many other veterans.   The result was a reluctance to seek help with my struggles for several years. 

     My subsequent experiences.. led me to eventually understand the importance of acknowledging.. and addressing the conditions ~ not ignoring them.. or using them as an excuse for destructive behaviors.         

     Following 15 years of self-medication with alcohol, I entered a Phoenix substance abuse treatment facility.   In addition to introduction to the Twelve Steps of Alcoholic Anonymous, which likely saved my life, the treatment program also included pain management counseling, and mindfulness and meditation practices.

Records of crystals, as found in the file >
********
(1)
Hf2P: optimized geometry, PBE.

For the energy of formation, the calculation gives -779.2 meV/atom.

Cell: 3.4056 17.7438 7.3667 Å, 90.00 90.00 90.00°
Space group Cmc2_1 (No. 36)
Inequivalent atoms, fractional coordinates:
Hf  0.0000  0.0252  0.0000 (multiplicity 4)
Hf  0.0000  0.1659  0.3644 (multiplicity 4)
Hf  0.0000  0.3271  0.5184 (multiplicity 4)
Hf  0.0000  0.4024  0.1671 (multiplicity 4)
P  0.0000  0.2170  0.7534 (multiplicity 4)
P  0.0000  0.4444  0.7842 (multiplicity 4)

(2)
HfPa5P6: optimized geometry, PBE.

For the energy of formation, the calculation gives -1315.5 meV/atom.

Cell: 6.8000 11.7808 6.7937 Å, 90.00 109.57 90.00°
Space group C2/m (No. 12)
Inequivalent atoms, fractional coordinates:
Hf  0.0000  0.0000  0.0000 (multiplicity 2)
Pa  0.0000  0.1694  0.5000 (multiplicity 4)
Pa  0.0000  0.3340  0.0000 (multiplicity 4)
Pa  0.0000  0.5000  0.5000 (multiplicity 2)
P  0.2402  0.0000  0.7538 (multiplicity 4)
P  0.2414  0.1614  0.2413 (multiplicity 8)

(3)
HfPa4P6: optimized geometry, PBE.

For the energy of formation, the calculation gives -1147.4 meV/atom.

Cell: 10.7945 10.7945 13.4102 Å, 90.00 90.00 120.00°
Space group R-3c (No. 167, hexagonal axes)
Inequivalent atoms, fractional coordinates:
Hf  0.0000  0.0000  0.0000 (multiplicity 6)
Pa  0.0000  0.0000  0.2500 (multiplicity 6)
Pa  0.0000  0.3812  0.2500 (multiplicity 18)
P  0.0284  0.2055  0.3878 (multiplicity 36)

(4)
HfPa3P4: optimized geometry, PBE.

For the energy of formation, the calculation gives -1306.8 meV/atom.

Cell: 6.7386 7.8635 6.7445 Å, 90.00 109.88 90.00°
Space group P2/c (No. 13)
Inequivalent atoms, fractional coordinates:
Hf  0.0000  0.1252  0.2500 (multiplicity 2)
Pa  0.0000  0.3736  0.7500 (multiplicity 2)
Pa  0.5000  0.1253  0.7500 (multiplicity 2)
Pa  0.5000  0.3742  0.2500 (multiplicity 2)
P  0.2371  0.1172  0.0005 (multiplicity 4)
P  0.2426  0.3676  0.4924 (multiplicity 4)

(5)
Hf3Pa5P8: optimized geometry, PBE.

For the energy of formation, the calculation gives -1303.5 meV/atom.

Cell: 7.7449 7.7449 18.8824 Å, 90.00 90.00 120.00°
Space group R-3m (No. 166, hexagonal axes)
Inequivalent atoms, fractional coordinates:
Hf  0.0000  0.5000  0.0000 (multiplicity 9)
Pa  0.0000  0.0000  0.0000 (multiplicity 3)
Pa  0.0000  0.0000  0.5000 (multiplicity 3)
Pa  0.0000  0.5000  0.5000 (multiplicity 9)
P  0.0000  0.0000  0.2557 (multiplicity 6)
P  0.0094  0.5047  0.2546 (multiplicity 18)

(6)
Hf2PaP3: optimized geometry, PBE.

For the energy of formation, the calculation gives -1261.4 meV/atom.

Cell: 3.7160 3.7160 19.2145 Å, 90.00 90.00 120.00°
Space group P6_3/mmc (No. 194)
Inequivalent atoms, fractional coordinates:
Hf  0.3333  0.6667  0.0795 (multiplicity 4)
Pa  0.0000  0.0000  0.2500 (multiplicity 2)
P  0.0000  0.0000  0.0000 (multiplicity 2)
P  0.3333  0.6667  0.6568 (multiplicity 4)

(7)
HfPaP3: optimized geometry, PBE.

For the energy of formation, the calculation gives -702.7 meV/atom.

Cell: 5.5690 16.0088 4.8442 Å, 90.00 90.00 90.00°
********
End of the records of crystals >

  Thankfully, during treatment, I also participated in several cognitive therapy sessions that provide a foundation that allowed me to gain insight and understanding of numerous emotional, psychological and spiritual impacts of my Vietnam experiences. 

   After significant introspection, I came to the belief that the solution to my unmanageable, chaotic, existence was the development of a continuing Spiritual Practice to serve as my guideline in how to embrace life.  Only then would the inner peace and serenity necessary to live a truly full and wholesome life, be within my grasp.

**These calculated crystals were left in the text by mistake:**
........
# K2LiHg, optimized geometry, DFT PBE
# * electronic total energy: -1.188 eV/atom
# * M_tot: 0.0 μB per formula unit
# * Fermi-level density of states: 1.96 states/eV per cell
data_K2LiHg
_chemical_formula_sum 'K2 Li1 Hg1'
_cell_length_a 7.277
_cell_length_b 7.277
_cell_length_c 6.148
_cell_angle_alpha 64.72
_cell_angle_beta 64.72
_cell_angle_gamma 32.82
_symmetry_space_group_name_H-M 'P 1'
_symmetry_Int_Tables_number 1
loop_
_symmetry_equiv_pos_as_xyz
'x,y,z'
loop_
_atom_site_label
_atom_site_type_symbol
_atom_site_fract_x
_atom_site_fract_y
_atom_site_fract_z
Hg1 Hg 0.212 0.212 0.289
K1 K 0.763 0.763 0.737
K2 K 0.963 0.963 0.036
Li1 Li 0.562 0.562 0.437
........








wounded warrior